**Input**
........
55
Properties=species:S:1:pos:R:3:lowdin_charge:R:1 method="wB97M-V/def2-TZVPD" max_force_ev_per_a=7.7 homo_lumo_gap_ev=7.83 charge=+1 e_tot_ev=-90531.9200
O -1.25 -0.92 3.28 -0.3866
P -2.06 -2.35 2.77 0.6113
Cl -0.47 -3.63 2.13 0.1673
C -3.06 -1.79 1.26 -0.3391
C -4.56 -1.88 0.91 0.0432
N -4.61 -1.25 -0.41 0.1217
C -3.29 -0.86 -0.80 -0.1328
C -2.71 -0.12 -2.10 -0.1330
C -1.91 1.21 -1.65 -0.4562
S -0.54 1.70 -2.82 0.9311
C 0.67 0.31 -2.70 -0.4987
N 2.11 0.44 -2.76 -0.0055
N 2.75 -0.75 -2.65 0.0139
C 1.69 -1.76 -2.55 -0.0198
O 0.42 -1.08 -2.56 -0.0983
N -2.28 -1.18 0.17 0.1193
H -1.61 -0.60 4.13 0.0539
H -5.37 -2.34 1.57 0.1474
H -5.46 -1.10 -0.97 0.1799
H -2.09 -0.85 -2.74 0.1231
H -3.61 0.20 -2.75 0.1342
H -1.46 1.16 -0.60 0.0826
H -2.67 2.08 -1.64 0.1070
H 1.83 -2.89 -2.46 0.1466
H -1.27 -1.00 0.17 0.1604
O -5.99 0.56 3.52 -0.3079
S -6.21 1.98 3.50 0.6011
O -6.14 2.75 2.28 -0.2859
O -5.26 2.68 4.61 -0.2562
C -3.86 2.43 4.56 -0.2693
C -3.19 3.23 3.46 -0.0730
C -7.76 2.33 4.28 -0.1138
H -3.66 1.36 4.45 0.1011
H -3.45 2.73 5.53 0.1284
H -3.51 2.89 2.48 0.0624
H -2.10 3.13 3.52 0.0813
H -3.45 4.29 3.54 0.0912
H -7.80 1.79 5.23 0.0793
H -8.55 1.99 3.62 0.0803
H -7.84 3.40 4.45 0.0814
O 7.06 -1.90 -4.67 -0.2842
S 7.23 -0.84 -3.71 0.6053
O 8.04 0.31 -3.99 -0.2819
O 7.70 -1.48 -2.30 -0.2700
C 8.85 -2.31 -2.28 -0.2731
C 10.13 -1.50 -2.35 -0.0763
C 5.63 -0.29 -3.19 -0.1547
H 8.81 -3.06 -3.08 0.1157
H 8.83 -2.86 -1.33 0.1209
H 10.23 -1.01 -3.32 0.0718
H 11.00 -2.14 -2.20 0.0812
H 10.13 -0.72 -1.59 0.0852
H 5.02 -1.15 -2.93 0.0354
H 5.17 0.26 -4.01 0.0746
H 5.75 0.37 -2.33 0.0766


12
Properties=species:S:1:pos:R:3:lowdin_charge:R:1 method="wB97M-V/def2-TZVPD" max_force_ev_per_a=3.3 homo_lumo_gap_ev=7.37 charge=0 e_tot_ev=-30091.0839
C 1.39 -1.93 0.12 -0.4100
C -0.35 0.09 -0.33 -0.3907
C 2.78 0.00 0.72 -0.5467
C -2.54 1.02 0.20 0.0280
C -1.43 0.90 -0.60 -0.3416
N 2.15 -0.95 0.20 -0.1602
S -0.37 -1.58 -0.25 0.9374
Cl 3.51 1.26 -0.15 0.5861
H 1.69 -2.99 -0.10 0.0952
H -3.02 1.95 0.12 0.0317
H -2.55 0.39 1.14 0.0838
H -1.26 1.84 -1.07 0.0870


22
Properties=species:S:1:pos:R:3:lowdin_charge:R:1 method="wB97M-V/def2-TZVPD" max_force_ev_per_a=3.1 homo_lumo_gap_ev=8.68 charge=0 e_tot_ev=-9426.8533
C -0.69 -0.63 -0.82 -0.1138
C -1.03 1.85 -0.88 -0.0628
C -0.95 -2.00 -0.25 -0.0944
C 1.97 -1.05 -0.83 -0.1223
C -0.15 0.65 1.16 -0.4190
C -0.74 0.56 -0.15 -0.2558
N -0.24 1.84 1.85 0.1348
N 0.70 -0.29 1.50 0.0675
H -0.87 -0.58 -1.89 0.1120
H -1.00 2.46 1.62 0.0873
H 0.02 1.84 2.82 0.0974
H 1.18 -0.14 2.39 0.0822
H 1.38 -0.69 0.35 0.0531
H -0.23 2.58 -0.76 0.0792
H -1.14 1.66 -1.95 0.0761
H -1.96 2.31 -0.53 0.0765
H -0.69 -2.05 0.80 0.0650
H -2.01 -2.24 -0.39 0.0803
H -0.37 -2.75 -0.78 0.0705
H 2.76 -1.68 -0.40 -0.0055
H 1.62 -1.56 -1.72 -0.0042
H 2.42 -0.11 -1.15 -0.0040


78
Properties=species:S:1:pos:R:3:lowdin_charge:R:1 method="wB97M-V/def2-TZVPD" max_force_ev_per_a=2.3 homo_lumo_gap_ev=9.27 charge=0 e_tot_ev=-150699.8483
Na 0.78 -4.20 1.17 0.6876
Na 1.02 1.48 4.20 0.6167
Na 1.33 2.42 -1.72 0.5036
Na -2.43 1.57 1.85 0.6158
P -1.84 3.48 -0.83 0.2034
F -0.68 2.75 0.05 -0.1678
F -0.88 4.71 -1.15 -0.1016
F -1.32 2.69 -2.17 -0.1396
F -3.06 4.17 -1.63 -0.1315
F -2.77 2.14 -0.59 -0.1903
F -2.42 4.07 0.56 -0.1529
P 0.03 -4.11 -2.48 0.1834
F -1.42 -4.57 -1.87 -0.1561
F 0.35 -5.60 -3.01 -0.1440
F -0.70 -3.67 -3.83 -0.1265
F 1.50 -3.65 -2.97 -0.1453
F -0.22 -2.60 -1.89 -0.1805
F 0.68 -4.52 -1.04 -0.2085
P 1.85 4.11 2.45 0.1946
F 2.35 2.67 1.87 -0.1667
F 0.30 3.55 2.55 -0.1703
F 2.27 3.49 3.92 -0.1970
F 1.44 5.49 3.14 -0.1265
F 3.34 4.69 2.24 -0.1502
F 1.48 4.60 0.96 -0.1380
O 1.15 0.41 -0.36 -0.2398
P 0.59 -0.21 0.85 0.3171
O 1.04 0.15 2.23 -0.3067
F 0.74 -1.82 0.76 -0.1464
F -1.01 -0.01 0.82 -0.1471
C -0.94 -0.18 -3.42 -0.0104
O -0.88 0.79 -4.46 0.0402
C 0.23 1.46 -4.63 -0.6206
O 1.22 1.31 -3.92 0.0794
O 0.16 2.26 -5.65 0.0416
C 1.32 2.90 -6.12 -0.0372
H -0.59 0.21 -2.47 0.0738
H -0.29 -1.01 -3.71 0.0882
H -1.95 -0.56 -3.37 0.1029
........

**Assignment**
It remains to work out how many lines further up have the word "charge" in them; a number is enough.

**Worked solution**
4